Sunday, February 6, 2022

Sunday Visitors

Park Place RV Resort, Quartzsite, Az

On Sunday, Feb. 6th we were all up by 7:30. Gibbs and I headed out for our walk, finding even another quiet paved road to tour. 😊 I love the options we have. Today we walked for our normal time before heading back towards home. 

You can tell it will be another beautiful day

This one took us down past the police station. I stopped to admire the bark on a Palo Verde tree when an officer drove by. He probably saw me and thought ‘tourist’ and kept on going. Ha ha

[Here the text breaks off for records of molecules]
=====
1.
Formula: C26H53N2O17S4
Source: the OMol25 dataset
Level of theory: the ωB97M-V functional and the def2-TZVPD basis

Geometry as XYZ:
```
102
Properties=species:S:1:pos:R:3:forces:R:3:mulliken_charge:R:1
C -0.782075 0.185359 6.671217 -0.4 0.1 0.1 -1.07
C -1.644254 1.254362 5.948534 0.7 -0.9 0.6 -0.37
N -1.340022 1.252715 4.508013 -0.8 1.2 0.1 0.24
C -2.513253 1.476749 3.653008 0.0 -1.1 -0.8 -0.62
C -2.231565 0.862019 2.239606 -0.1 0.7 0.7 -0.76
C -0.266491 2.130967 4.193906 1.8 -1.0 -0.7 -0.44
S 1.208217 1.472130 3.861639 -1.0 0.6 0.5 -0.04
S -0.472819 3.932502 4.209668 -0.7 0.2 0.2 -0.17
C -0.205611 4.545180 2.510395 1.1 -0.6 -1.0 -0.61
C 1.129328 4.081911 1.835543 -0.6 0.3 -0.2 -0.85
C 0.807969 2.942671 0.856410 0.3 0.0 0.4 -0.54
S 2.299925 2.199045 0.139487 2.8 0.6 -0.4 1.36
O 3.276408 3.305980 0.012997 -1.7 -1.0 -0.3 -0.80
O 2.802432 1.158423 1.046553 -1.4 0.7 -0.8 -0.61
N 1.945054 1.722459 -1.415145 -1.4 -0.9 2.1 -0.45
S 0.984436 0.378750 -1.525949 2.0 -2.3 -2.3 1.12
O 1.011213 -0.035715 -2.945840 -0.4 1.3 1.6 -0.73
O 1.347540 -0.762967 -0.671936 -0.9 1.9 0.2 -0.66
C -0.764082 0.765981 -1.183683 -0.9 0.2 -0.2 0.13
O -1.448413 1.123029 -2.373951 0.1 0.5 0.2 -0.35
C -2.675540 1.730232 -2.013703 0.2 -0.2 0.2 -0.68
H -0.593844 0.475079 7.710283 0.1 0.0 -0.1 0.34
H -1.314441 -0.771761 6.697488 0.1 0.1 -0.1 0.31
H 0.160187 0.009609 6.150654 0.0 0.2 0.1 0.26
H -1.487980 2.229104 6.429080 -0.1 0.0 -0.2 0.25
H -2.686586 0.962476 6.086182 0.0 0.3 -0.2 0.46
H -2.817968 2.529011 3.583411 0.1 -0.1 0.1 0.33
H -3.337650 0.894923 4.074998 0.1 0.3 0.2 0.49
H -2.326300 1.664612 1.504620 0.2 -0.3 -0.3 0.04
H -1.230125 0.425250 2.253821 0.0 0.2 -0.3 0.28
H -2.926468 0.053910 2.003091 0.0 0.2 0.0 0.48
H -1.016569 4.268023 1.826118 -0.1 -0.1 0.4 0.32
H -0.194836 5.637715 2.505959 -0.2 -0.1 0.8 0.36
H 1.886721 3.812642 2.569536 -0.1 -0.1 0.0 0.35
H 1.527330 4.934865 1.277677 0.0 -0.2 0.0 0.50
H 0.275687 2.147483 1.388587 0.0 0.0 -0.3 -0.32
H 0.182821 3.332815 0.048451 0.2 -0.1 0.0 0.62
H -1.267910 -0.115126 -0.760868 0.6 -0.2 0.1 0.33
H -0.902824 1.584189 -0.468768 0.5 -0.2 0.1 -0.36
H -3.289099 0.985967 -1.484700 -0.3 0.2 -0.1 0.29
H -3.171336 2.115149 -2.904895 0.0 -0.3 -0.1 0.27
H -2.523977 2.586732 -1.337538 0.1 -0.1 0.0 0.24
C 4.422335 -0.731145 -1.541036 0.4 -0.3 0.2 -0.83
C 5.231909 0.444135 -2.041676 -0.7 -0.1 -0.2 -0.14
O 6.425497 0.651196 -1.252878 0.2 0.0 -0.1 -0.32
C 7.431671 -0.167831 -1.502215 -0.5 0.3 0.1 0.77
O 7.468985 -1.041750 -2.329443 0.2 -0.2 -0.1 -0.57
O 8.434652 0.142707 -0.665297 0.2 0.0 0.0 -0.34
C 9.561604 -0.717546 -0.777587 0.2 0.0 0.1 -0.65
H 4.198354 -0.616395 -0.480899 -0.2 0.2 0.0 0.22
H 3.486891 -0.811133 -2.087563 0.0 0.1 0.0 0.08
H 4.970947 -1.668451 -1.660133 0.0 0.0 -0.1 0.46
H 4.647800 1.356938 -1.943589 0.2 0.1 0.2 0.28
H 5.496397 0.333926 -3.094771 0.2 -0.1 0.1 0.32
H 9.910194 -0.779341 -1.807395 -0.1 -0.1 0.0 0.29
H 9.315054 -1.711627 -0.404040 0.0 0.0 -0.1 0.28
H 10.349987 -0.292061 -0.160493 -0.1 0.1 0.1 0.22
=====
[End of the records of molecules]

I watched a plane circling over the park,
over and over

Practicing, maybe?

Nice walking trails
Okay, if you have a bike, you can ride here too

These trees are lovely

Bill drove back to the field this morning for their Swap Meet. I was and I wasn’t surprised when he phoned to get my opinion on something he saw to purchase. 😊 He didn’t need my permission but it was nice he asked anyway. He was home before noon and he ate his sandwich from yesterday. As it turned out, burgers were grilled for them and he didn’t need the lunch he packed.

Gibbs leads the way down a new road
Another great choice!

So, it was a special day because we had company coming. It was around 1:15 when we first heard rather than seen our friends, Roland, Lori and Schatzi drive in. Their motorcycles, one Victory and one Indian, have a distinct rumble which we love, especially when they are coming to visit us! There is not much cuter than seeing the little white head in the ‘back seat’ of Lori’s bike, adorned in pink leather and pink goggles. ♥

It was so funny watching Gibbs bark at his own shadow
It was the ears blowing in the wind that set him off

We had a nice visit while the sun was shining on our patio. The winds were enough to give them a bit of grief on their ride and to cool things down considerably once the sun disappeared from our site. The good news is that when we thought this was the last we’d see them this season, they will be back this way in March. Yay! It is always great to see them and a bonus to video chat with Judy, her Mom, back home in Dryden, On.

Schatzi's hiding behind Lori's chair

They packed up and headed for home just after 3:30. They would have close to a 2-hour drive home to Holtville so I hope they make it safely and before dark. The sun is in the west sky and should be shining the way for them. Inside, I made a cup of tea and Bill went up to watch a movie. We have rib eye steak out for supper, we’ll share a big one with veggies on the side.

So, here she is getting ready for their 
ride home ♥

At 6, Bill grilled the steak on the Weber. Inside, I cooked vegetables and fried onions and mushrooms. Let me tell you, it was delicious! The steak was cooked perfectly and while we were doing dishes, I made sure to plant a big kiss on the chef! 😊

see you guys in March!
Notice the little back seat rider?
She pops down in her carrier when they get out on the highway

After dishes, I remembered that I received an email for another space station sighting tonight. Bill went out at 6:53 and found it right away. This is a treat each time and finally they got my location right. We had a Lindor milk chocolate for dessert. They’ve lasted us this far since Christmas. ♥

It doesn't look 'pretty' but it was

This was a wonderful day and we had a quiet evening together. I got back into my Sue Grafton book; I seem to get distracted with my yarn!

Thank you for stopping in! 


  1. Your dinner sounded delicious! So nice to have friends visiting for the afternoon!


    1. Thanks, it was a great steak. I can't always say that! :)
      Loved having our friends for a visit. ♥

  2. That's so cute that Schatzi goes for rides. It sounded like a lively day.

    1. She is so tiny, all of about 5 pounds and she usually has her goggles and sombrero on too. ♥

  3. Looks like that park & proximity to the flying club is a perfect setting for you folks.Thinking of your solar set up,you might like the Serenity install just completed - see something approximating this system would support most of your needs.All the best.

    1. The park is great for all of us. Now if they had a heated pool, I'd say 'perfect'! haha

  4. The little dog must be having fun on the back of the motorcycle. A pair of "doggles" might be a good idea, but then again, her eyes are behind the human's body.

    1. Schatzi does have goggles but Lori gave her a break on the ride home. She slips down inside her carrier when they are out on the main roads. She's adorable.

  5. I'm glad Bill is enjoying his time at the "airport". Okay, you talked me into it. Time to take Cooper for a walk!!

  6. The little cute doggie in its own motorcycle carrier is adoring. Nice to have company and end the day with a great dinner.

    1. She is such a little pooch and just loves being with her Mom and Dad. We don't have room for a carrier on our bike at home so Gibbs can't go along. :(
      It was a great day all around.
